Here is an illusion one of our fans named Eli spotted at his local supermarket. It took me few seconds before I noticed what Eli was talking about. It’s an ad for Coca Cola Zero, but can you see the hidden illusion in it? Off course you do! There would be no point training your eye with all those negative spaces illusions we had here before…
Also, there is one more thing Eli and I both missed: it’s not the basketball player catching the ball, it’s football player instead! Sorry about the quality of this picture. If you spot a higher-res version, be sure to attach it inside comments! BTW, I’m not affiliated with Coca-Cola in any way (pity).
i think i got it. do i see a shoulder or a head, im kinda thinkin there is two people there but i could be way off lol
its a head not a shoulder
HAHAHA, this is what happens when you take Photoshop, 2 arms and a head then move them around to make a clever little empty space Coca-Cola “bottle”.
Data records from another source follow:
____________
Entry from the OMol25 dataset: a structure of composition C45H57KN3P2 (wB97M-V/def2-TZVPD).

Its frontier orbital gap is 5.77 eV. Its electronic energy is -86963.8989 eV. The value obtained for the maximum force is 0.64 eV Å⁻¹. Its HOMO energy is -3.547 eV. The value obtained for the energy relative to the best compared isomer or geometry (same formula, charge and spin) is 16.8 kcal/mol. The net charge is -1.

Structure (XYZ):
```
108
C45H57KN3P2, DFT wB97M-V/def2-TZVPD
K 0.135 -0.277 0.348
C 0.826 2.824 -3.485
C -0.431 3.009 -2.682
C -1.509 2.143 -2.822
C -2.640 2.268 -2.027
C -2.720 3.287 -1.092
C -1.665 4.180 -0.966
C -0.532 4.039 -1.750
H 0.747 1.961 -4.146
H 1.681 2.660 -2.825
H 1.044 3.701 -4.097
H -1.457 1.343 -3.551
H -3.446 1.553 -2.124
H -3.589 3.374 -0.454
H -1.715 4.977 -0.233
H 0.300 4.724 -1.626
C 1.105 4.608 2.593
C 0.756 3.521 1.576
C -0.459 2.719 2.049
P 1.962 2.282 0.870
C 3.411 3.248 0.211
C 4.391 3.830 1.226
C 4.162 2.322 -0.748
C 2.665 1.330 2.263
C 2.911 1.892 3.521
C 3.399 1.171 4.594
C 3.685 1.821 5.919
C 3.638 -0.192 4.387
C 3.433 -0.773 3.160
C 2.969 -0.038 2.040
N 2.739 -0.634 0.830
C 3.649 -1.504 0.332
C 5.027 -1.466 0.679
C 5.955 -2.311 0.114
C 5.599 -3.266 -0.837
C 6.606 -4.214 -1.428
C 4.260 -3.306 -1.197
C 3.287 -2.467 -0.661
P 1.545 -2.526 -1.201
C 0.875 -4.119 -0.501
C 0.309 -3.804 0.885
C 1.823 -5.311 -0.412
C 1.578 -2.799 -3.048
C 2.435 -1.712 -3.690
C 1.874 -4.168 -3.661
H 0.272 5.315 2.658
H 1.245 4.205 3.595
H 1.993 5.174 2.320
H 0.463 4.040 0.655
H -0.186 2.053 2.872
H -1.252 3.379 2.409
H -0.889 2.108 1.252
H 2.953 4.062 -0.368
H 4.815 3.031 1.837
H 5.217 4.331 0.713
H 3.931 4.550 1.901
H 4.570 1.463 -0.209
H 3.509 1.923 -1.524
H 4.994 2.852 -1.220
H 2.737 2.949 3.661
H 3.165 2.777 6.009
H 3.363 1.191 6.750
H 4.753 2.016 6.056
H 3.986 -0.806 5.212
H 3.622 -1.832 3.026
H 5.359 -0.731 1.401
H 6.996 -2.222 0.414
H 7.621 -3.913 -1.163
H 6.468 -5.238 -1.068
H 6.547 -4.246 -2.519
H 3.955 -4.042 -1.931
H 0.037 -4.367 -1.168
H 1.098 -3.420 1.540
H -0.489 -3.061 0.848
H -0.096 -4.705 1.354
H 2.673 -5.072 0.231
H 1.304 -6.169 0.026
H 2.219 -5.616 -1.379
H 0.536 -2.583 -3.303
H 3.496 -1.888 -3.504
H 2.277 -1.692 -4.772
H 2.198 -0.724 -3.289
H 2.907 -4.482 -3.518
H 1.221 -4.942 -3.257
H 1.697 -4.126 -4.740
C -2.480 -3.134 -4.920
C -1.825 -1.956 -4.588
C -1.756 -1.554 -3.262
C -2.370 -2.312 -2.276
C -3.024 -3.496 -2.601
C -3.070 -3.904 -3.925
N -2.240 -1.844 -0.925
N -3.259 -2.072 -0.253
C -3.235 -1.653 1.129
C -4.290 -2.231 1.839
C -4.403 -1.980 3.195
C -3.467 -1.133 3.782
C -2.460 -0.555 3.017
C -2.267 -0.777 1.637
H -2.519 -3.461 -5.951
H -1.352 -1.360 -5.358
H -1.216 -0.662 -2.972
H -3.485 -4.074 -1.812
H -3.570 -4.830 -4.182
H -5.001 -2.865 1.322
H -5.200 -2.424 3.780
H -3.532 -0.918 4.845
H -1.779 0.114 3.546
```


A 5-piece molecular cluster, C42H82FO12P2S overall. Source: the OMol25 dataset; level of theory: wB97M-V/def2-TZVPD.

Geometry as XYZ:
```
140
Properties=species:S:1:pos:R:3:mulliken_charge:R:1
____________
If I didn’t know there was an allusion I probably would never have seen it.
The guy in the pic is catching a football, but in his catching arms, there is a Coke-a-Cola Bottle. Also, the O in the word Zero on the bottle looks more like a Q.
its not a q its the trade mark symbol
yes I can see the illusion. between the arms of football player you can see a Coke bottle!
How do you know? Where’s the football helmet?
*spoiler* theres a coke bottle hidden between his arms
i saw that in like 3 seconds o em gee!
obvious :D
ya i know
I also noticed that between player’s arms we can see a coca cola’s bottle. :D
I’ve tried that stuff. Zero caffine. Zero calories. Zero taste. Yuch.
Just a BIT obvious :3
That was just so obvious. Same with the football. It’s obvious a football, not a basketball.
• Attached: data records:
{
  "formula": "H20O10",
  "method": "the ωB97M-V functional and the def2-TZVPD basis",
  "elements": ["O", "O", "O", "O", "O", "O", "O", "O", "O", "O", "H", "H", "H", "H", "H", "H", "H", "H", "H", "H", "H", "H", "H", "H", "H", "H", "H", "H", "H", "H"],
  "positions_angstrom": [[0.06460, -1.91253, 1.55287], [0.45560, -0.65153, -0.77313], [-2.48240, -1.05253, -0.30713], [-2.25940, 0.95647, 0.76587], [1.40160, 2.75147, 2.37787], [1.83760, 1.24247, -2.58313], [-1.05640, 0.53347, -2.52813], [2.00360, -0.65053, 0.70487], [0.66660, -3.28553, 0.10087], [0.52360, 1.47447, 1.10987], [1.09360, 2.19647, 1.53287], [-2.28540, 1.02247, 1.71087], [1.72860, 2.14547, -2.80413], [0.70160, 3.14147, 2.80987], [-1.81740, 0.33247, -2.96713], [0.42060, -4.09853, -0.38313], [1.27260, -0.85853, 1.16887], [0.85160, -0.00753, -1.41813], [0.52360, 2.17647, 0.46287], [-3.39740, -0.75053, -0.60813], [-0.23940, 1.31647, 1.28987], [0.07660, -2.44053, 0.83187], [0.21660, 0.02947, -0.12113], [0.84760, -2.17853, 2.09687], [0.65560, -2.56153, -0.52013], [1.89160, -1.05953, -0.22413], [-2.13340, -0.32353, 0.32887], [-1.22940, 0.17847, -1.62313], [2.81360, 0.98547, -2.29213], [-3.14640, 1.34847, 0.30787]],
  "e_homo_ev": -8.97,
  "gap_ev": 8.37
}

=====

1.
{
  "formula": "C6H4O",
  "method": "wB97M-V/def2-TZVPD",
  "de_lowest_ev": 4.367,
  "gap_ha": 0.346,
  "homo_ev": -9.34,
  "charge": 0,
  "symbols": ["C", "C", "C", "C", "C", "C", "O", "H", "H", "H", "H"],
  "xyz": [[-1.8028, -2.1936, 0.9239], [-1.2194, -1.2045, 0.5641], [-0.4944, -0.0498, 0.1196], [0.8125, -0.1266, -0.2161], [1.4329, 1.0470, -0.7542], [1.7161, 2.1780, -1.2516], [-1.2371, 1.0662, 0.0509], [-2.3282, -3.0690, 1.2384], [1.3475, -1.0629, -0.1338], [2.4375, 1.6138, -0.3073], [-0.6646, 1.8014, -0.2339]],
  "forces_ev_per_a": [[0.219, 0.418, -0.153], [-0.267, -0.504, 0.205], [0.191, -0.168, -0.002], [-0.183, -0.082, 0.013], [-0.148, 0.404, -0.272], [0.080, -0.595, 0.290], [0.150, 0.093, -0.057], [0.091, 0.155, -0.044], [-0.093, 0.113, -0.042], [0.063, 0.248, 0.013], [-0.102, -0.083, 0.050]]
}

---

2.
{
  "formula": "C33H23BrGeIrO9",
  "method": "wB97M-V/def2-TZVPD",
  "de_lowest_ev": 0.987,
  "gap_ha": [0.238, 0.195],
  "homo_ev": [-9.13, -9.13],
  "spin_multiplicity": 2,
  "s_squared": 0.780,
  "charge": 0,
  "symbols": ["Ir", "O", "C", "C", "O", "C", "C", "O", "C", "O", "O", "Br", "C", "C", "C", "C", "C", "C", "C", "O", "O", "H", "H", "H", "H", "O", "C", "O", "C", "C", "Ge", "C", "C", "C", "C", "C", "C", "C", "C", "C", "C", "C", "C", "C", "C", "C", "C", "C", "C", "H", "H", "H", "H", "H", "H", "H", "H", "H", "H", "H", "H", "H", "H", "H", "H", "H", "H", "H"],
• Back to the text:
saw it right away 1st comment
You know, if you didn’t mention it, I don’t think I would have noticed it. I guess that means it wasn’t that effective as an ad campaign if me and people like me just gloss over it.
it is also a coke bottle between his hands ;)
lol too obvious
I knew that the ball was a football, but I kept seeing a head at the bottom corner. It looked oddly disproportionate, so I looked again and saw that it’s actually the shoulder attached to the left arm.
Very nice.
To be truthful, this one is what could best be described as pedestrian. It’s commercial art, and not outstanding at that. The bottle shape is suggestive but asymmetrical. The position and outline of the arms seem exaggerated. The combination makes the picture seem surreal.
Strikes immediately! :)
Saw it in Igoogle widget, very obvious.
The head you see at the bottom IS a head. It can not be a shoulder, unless the player has an extra length in his arm, or perhaps two elbows on the same arm.
# Misplaced calculated molecules
~~~
Below is C21H21BrIN3O3V as an isolated structure, with properties calculated with ωB97M-V with the def2-TZVPD basis set.

The geometry in ORCA input format:
```
! wB97M-V def2-TZVPD RIJCOSX def2/J DEFGRID3
* xyz 3 1
V 0.42 0.51 -0.34
C -3.08 -0.88 -2.75
C -3.03 -1.37 -1.34
N -4.01 -2.19 -0.92
C -4.03 -2.64 0.32
C -3.08 -2.33 1.32
C -3.26 -2.99 2.66
O -2.53 -2.30 3.66
C -2.05 -1.48 0.92
C -0.98 -1.07 1.81
N 0.05 -0.32 1.53
C 1.01 -0.16 2.60
C 1.31 -1.18 3.50
C 2.21 -0.94 4.53
C 2.82 0.30 4.67
C 2.56 1.32 3.77
C 1.66 1.05 2.75
I 1.20 2.50 1.33
C -2.07 -1.04 -0.41
O -1.04 -0.18 -0.74
H -3.19 -1.73 -3.42
H -2.19 -0.31 -3.02
H -3.95 -0.24 -2.88
H -4.86 -3.29 0.56
H -2.91 -4.03 2.58
H -4.32 -3.03 2.89
H -3.00 -2.36 4.50
H -1.07 -1.44 2.83
H 0.87 -2.17 3.39
H 2.44 -1.74 5.22
H 3.51 0.48 5.48
H 3.04 2.28 3.87
C 3.20 2.75 -4.45
C 1.96 2.80 -3.61
C 0.91 3.68 -3.89
C -0.23 3.69 -3.10
C -0.32 2.82 -2.04
Br -1.81 2.85 -0.91
N 0.66 1.93 -1.77
C 1.79 1.95 -2.54
H 3.39 3.72 -4.91
H 3.08 2.02 -5.25
H 4.07 2.47 -3.86
H 0.99 4.37 -4.72
H -1.04 4.39 -3.30
H 2.56 1.24 -2.26
C 2.52 -1.64 -0.87
O 1.74 -0.41 -0.60
H 2.58 -1.72 -1.96
H 1.98 -2.47 -0.42
H 3.49 -1.46 -0.41
*
```

Calculated values
* ΔE to the lowest compared entry with this formula, charge and spin: 22.5 kJ/mol
* Kohn-Sham gap: 0.20871 hartree
* DFT total energy: -136533.4504 eV


{
  "formula": "C10H8IN2OP",
  "method": "ωB97M-V/def2-TZVPD",
  "elements": ["C", "C", "C", "C", "C", "C", "C", "C", "C", "C", "N", "N", "O", "P", "I", "H", "H", "H", "H", "H", "H", "H", "H"],
  "coordinates": [[-1.897074, -2.692844, 0.309221], [1.265829, 2.446044, -1.216063], [-1.694146, -2.810209, -1.053028], [1.041364, 3.455623, -0.294384], [-0.922846, -2.042601, 1.067270], [1.409784, 1.145825, -0.798246], [-0.561205, -2.306109, -1.668626], [1.089375, 3.149227, 1.067813], [0.224031, -1.517203, 0.362030], [1.397763, 0.966100, 0.578715], [0.365138, -1.663136, -0.968659], [1.256359, 1.887599, 1.460004], [1.209451, -0.711096, 2.824466], [1.433158, -0.669690, 1.418118], [-3.762032, 0.693853, 1.174522], [-2.763243, -3.083555, 0.602517], [1.265214, 2.508956, -2.289451], [-2.399819, -3.349487, -1.685613], [0.941254, 4.461635, -0.738728], [-0.919747, -1.808211, 2.063763], [1.713026, 0.202125, -1.281895], [-0.519596, -2.172452, -2.730639], [0.827956, 3.909606, 1.796903]],
  "forces_ev_per_a": [[3.5657, 1.5540, -1.3699], [-0.2024, -1.3990, -0.7798], [0.0717, -0.6795, -0.9274], [0.4470, 0.8034, -0.5804], [1.2291, 0.3135, -3.4566], [1.2261, -1.2044, 1.3176], [-0.5486, 1.1656, 1.1924], [-0.8104, 0.2178, -1.2547], [-2.1434, -1.8823, 0.2149], [0.1431, -1.4485, 0.0507], [0.8826, 0.4524, 0.7386], [-0.2908, 2.2144, 1.9031], [-0.9294, -0.1840, 3.8858], [1.2079, 0.1810, -5.1546], [0.0900, -0.0618, -0.0230], [-3.2865, -1.3692, 2.0717], [0.0332, 1.0442, -0.2788], [-0.0715, 0.2436, 0.2948], [-0.1527, -0.4296, 0.8677], [-0.5740, 0.0824, 2.5149], [-0.6506, 1.1086, -0.8742], [0.3400, -0.5679, -0.5256], [0.4239, -0.1546, 0.1725]],
~~~
Then again, perhaps (probably) it is a Photoshop blunder. I suspect that the entire “photo” is a Photoshop project.
The gap in his arms form the shape of a Coke bottle, very well done.
his arms are too long, they seem to be full arms below the elbow, ‘specially the left one
wait.. that’s his head… not his shoulder…
i think it looks like a coke bottle between his arms and a head drinking a coke on his arm
i tried doing that with my arms. THAT PHOTO WAS DEFINETLY EDITED!
So ya in between his arms is a coca-cola bottle and the guy is catching a football and he is a basketball player if you were a sports you would notice